WBCSD launches a Mission Paper for the 私营部门 to scale-up sustainable and regenerative rice-based landscapes

[Calculated crystals, kept here for reference]
<<<
The following is a DFT calculation (PBE) of Sc2SO after structural relaxation.

Crystal system = trigonal
SG = R3m
ΔE_f (raw) = -203.17 kJ per mole of atoms
Raw total energy = -30.2 eV per cell
Energy above the most stable polymorph in this dataset = 60 meV/atom

a b c (Å): 3.3358 3.3358 6.4055
angles (deg): 74.91 74.91 60.00
Fractional coordinates of all 4 atoms:
Sc 0.0894 0.0894 0.7317
Sc 0.2461 0.2461 0.2617
S 0.6684 0.6684 0.9948
O 0.4960 0.4960 0.5119

* * * * *

(1)
An optimized crystal structure of CaGdDyIn, computed with PBE.

energy of formation	-0.6	eV per formula unit
density of states at the Fermi level	5.241	states/eV/f.u.

a = 5.511 Å, b = 5.511 Å, c = 5.511 Å
α = 60.00°, β = 60.00°, γ = 60.00°
Sites, in units of the cell vectors:
Ca: 0.000 0.000 0.000
Gd: 0.750 0.750 0.750
Dy: 0.250 0.250 0.250
In: 0.500 0.500 0.500

---

(2)
An optimized crystal structure of BeIrAu2, computed with PBE.

energy of formation	0.9	eV per formula unit
density of states at the Fermi level	3.714	states/eV/f.u.

a = 2.793 Å, b = 2.793 Å, c = 8.708 Å
α = 90.00°, β = 90.00°, γ = 117.58°
Sites, in units of the cell vectors:
Be: 0.000 0.000 0.000
Ir: 0.000 0.000 0.500
Au: 0.500 0.500 0.216
Au: 0.500 0.500 0.784

---

(3)
An optimized crystal structure of Y5Ta4, computed with PBE.

energy of formation	4.1	eV per formula unit
density of states at the Fermi level	11.513	states/eV/f.u.
energy above the most stable polymorph in this dataset	95.7	meV per atom

a = 8.971 Å, b = 8.971 Å, c = 6.312 Å
α = 90.00°, β = 90.00°, γ = 120.00°
Sites, in units of the cell vectors:
Y: 0.000 0.369 0.250
Y: 0.000 0.631 0.750
Y: 0.333 0.667 0.000
Y: 0.333 0.667 0.500
Y: 0.369 0.000 0.250
Y: 0.369 0.369 0.750
Y: 0.631 0.000 0.750
Y: 0.631 0.631 0.250
Y: 0.667 0.333 0.000
Y: 0.667 0.333 0.500
Ta: 0.000 0.000 0.000
Ta: 0.000 0.000 0.500
Ta: 0.000 0.268 0.750
Ta: 0.000 0.732 0.250
Ta: 0.268 0.000 0.750
Ta: 0.268 0.268 0.250
Ta: 0.732 0.000 0.250
Ta: 0.732 0.732 0.750
>>>






2023年11月24日,日内瓦 – Today, the 世界商业 委员会 可持续 发展 (WBCSD) launched the RICE+再生稻谷中心的任务文件, 与会员公司和合作伙伴合作, 在可持续水稻景观倡议(SRLI)的支持下,.  

The RICE+ hub for regenerative ricescapes Mission paper is a call to action to bring together committed companies to drive an action-oriented agenda to tackle the major challenges that inhibit investments in scaling sustainable and regenerative rice-based landscapes (regenerative ricescapes, ).  

Given the unique opportunity for sustainable rice landscapes to deliver solutions for 气候 mitigation and adaptation, 自然恢复, and improving farmer livelihoods while contributing to food and nutrition security, there is an urgent need to target finance and scale up actions in high-impact landscapes. 

Significant greenhouse gas emissions reductions and water quantity and quality improvements can be realized from scaling up of sustainable and regenerative rice cultivation practices and approaches. 在水稻生产景观中, 哪些通常位于生物多样性热点地区, avoided conversion and restoration of natural ecosystems can have substantial positive impacts for nature, 气候(来自自然碳固存和适应), 以及社区(来自生态系统服务). Notable improvements of farmer livelihoods can also be realized from scaling up of sustainable and regenerative rice cultivation practices and approaches – from crop input reduction and labour reduction cost savings, 稳定或增加产量, 增加获得可持续市场和融资机会的机会.    

任务文件提供了有关重要气候的信息, 自然和公平的积极影响潜力, as well as the emerging opportunities to scale 私营部门 investments and collective action for sustainable rice. It also identifies the range of challenges that currently limits the acceleration of the rice sustainability transition at the scale needed, 其中包括:为稻农提供定制支持, 过渡成本和长期协议, 可持续性目标设定指导差距, 参与自愿碳市场的障碍, 公共和私营部门的投资差距.  

The objective of the RICE+ Hub for Regenerative Ricescapes Mission Paper is to serve as an action plan to facilitate pre-competitive 私营部门 collective actions and investments across the entire rice value chain. These investments and collective actions will accelerate rice-related carbon, 气候, nature and Nature-Based Solutions (NBS) investments and project implementation to scale sustainable rice in priority countries and landscapes, starting with a focus on the major rice-producing regions of South and Southeast Asia. 

公司将合作建立公私投资联盟, 采用高完整性的稻米碳和可持续性标准, 促进知识交流,促进创新. Committed companies must establish relevant targets and action plans that they measure and disclose in a credible and transparent manner, and that make a demonstrable contribution to sustainable and regenerative rice production systems and landscapes. 

We call on the 私营部门 across the rice value chain to step up with ambitious targets and strategies th在规模 and accelerate the adoption of sustainable and regenerative rice production systems and landscapes for clearly defined 气候, 通过RICE+ Hub对自然和公平产生积极影响.

汤姆·威廉姆斯,农业 & 食物通路主任 

提供必要的投资,推动向包容性转型, sustainable and resilient rice landscapes 在规模 requires partnership and engagement across government, 私营部门, 金融机构, 发展合作伙伴, 公民社会, 研究机构和农业社区. 赖斯+中心的“投资”行动区将提供一个重要的论坛, 在可持续水稻景观倡议下, to forge public and private alliances in countries across the region to drive new investment in rice landscapes that will deliver results for communities, 自然和气候.

博之后,  SRLI领导粮农组织和自然资源官员, 粮农组织亚洲及太平洋区域办事处

Low-carbon agriculture cannot be considered in isolation; holistic approaches maximize sustainability co-benefits to farmers and ecosystems alike. With growing recognition of the need for rice sector transformation to meet the UN Sustainable 发展 Goals, the Sustainable Rice Platform’s Standard and Performance Indicators offer a quantitative, 提供影响的综合框架. The RICE+ Hub offers a unique pathway to deliver NBS outcomes 在规模 through robust and unified approaches to MRV, 可持续最佳做法和融资, facilitated by the collaborative efforts of the 可持续的水稻景观 Initiative (SRLI) consortium partners.

Unrelated to this text: calculated crystals >
+++
Entry 1:
The following is a DFT calculation (PBE) of crystalline NdPaAgOs at its relaxed geometry.

Summary:
total magnetic moment: 0.000 μB per formula unit
uncorrected energy: -7.04 eV per atom

a b c (Å): 7.1253 7.1253 7.1253
angles (deg): 90.00 90.00 90.00
Space group F-43m (No. 216)
Inequivalent atoms, fractional coordinates:
Nd 0.0000 0.0000 0.0000 (multiplicity 4)
Pa 0.0000 0.0000 0.5000 (multiplicity 4)
Ag 0.2500 0.2500 0.2500 (multiplicity 4)
Os 0.2500 0.2500 0.7500 (multiplicity 4)



Entry 2:
The following is a DFT calculation (PBE) of crystalline KZnSb2 at its relaxed geometry.

Summary:
total magnetic moment: 0.000 μB per formula unit
uncorrected energy: -2.69 eV per atom

a b c (Å): 3.9430 3.9430 7.8056
angles (deg): 90.00 90.00 90.00
Space group P4mm (No. 99)
Inequivalent atoms, fractional coordinates:
K 0.0000 0.0000 0.0000 (multiplicity 1)
Zn 0.5000 0.5000 0.7188 (multiplicity 1)
Sb 0.0000 0.0000 0.5066 (multiplicity 1)
Sb 0.5000 0.5000 0.3330 (multiplicity 1)



Entry 3:
The following is a DFT calculation (PBE) of crystalline InTe4Ir at its relaxed geometry.

Summary:
total magnetic moment: 1.450 μB per formula unit
uncorrected energy: -3.04 eV per atom

a b c (Å): 8.8310 8.8310 8.8310
angles (deg): 90.00 90.00 90.00
Space group F-43m (No. 216)
Inequivalent atoms, fractional coordinates:
In 0.0000 0.0000 0.0000 (multiplicity 4)
Te 0.1232 0.1232 0.3768 (multiplicity 16)
Ir 0.2500 0.2500 0.7500 (multiplicity 4)



Entry 4:
The following is a DFT calculation (PBE) of crystalline BaPtSe2 at its relaxed geometry.

Summary:
excess energy over the best structure of this formula in the dataset: 11.2 meV/atom
total magnetic moment: 0.000 μB per formula unit
uncorrected energy: -4.80 eV per atom

a b c (Å): 3.9673 6.1832 8.6421
angles (deg): 90.00 90.00 90.00
Space group Immm (No. 71)
Inequivalent atoms, fractional coordinates:
Ba 0.0000 0.0000 0.0000 (multiplicity 2)
Pt 0.0000 0.0000 0.5000 (multiplicity 2)
Se 0.0000 0.5000 0.1784 (multiplicity 4)



Entry 5:
The following is a DFT calculation (PBE) of crystalline Dy3Cu3Pd at its relaxed geometry.

Summary:
total magnetic moment: 0.000 μB per formula unit
uncorrected energy: -4.87 eV per atom

a b c (Å): 3.7220 4.2659 18.4158
angles (deg): 90.00 90.00 90.00
Space group Imm2 (No. 44)
Inequivalent atoms, fractional coordinates:
Dy 0.0000 0.0000 0.0000 (multiplicity 2)
Dy 0.0000 0.0000 0.3695 (multiplicity 2)
Dy 0.0000 0.5000 0.1864 (multiplicity 2)
Cu 0.0000 0.0000 0.5451 (multiplicity 2)
Cu 0.0000 0.0000 0.8336 (multiplicity 2)
Cu 0.0000 0.5000 0.6157 (multiplicity 2)
Pd 0.0000 0.5000 0.7513 (multiplicity 2)



Entry 6:
The following is a DFT calculation (PBE) of crystalline Rb2SnSe4 at its relaxed geometry.

Summary:
total magnetic moment: 0.000 μB per formula unit
uncorrected energy: -3.42 eV per atom

a b c (Å): 8.0769 3.9716 8.2559
angles (deg): 90.00 108.75 90.00
Space group Pm (No. 6)
Inequivalent atoms, fractional coordinates:
Rb 0.0000 0.0000 0.0000 (multiplicity 1)
+++

Dr. Wyn Ellis,可持续水稻平台执行董事

缓解和适应温室气体的气候目标, 以及自然恢复的生物多样性目标, can only be met through broad collaboration between all  rice value chain actors – the RICE+ Mission Paper is a groundbreaking blueprint for such collaboration with proposed target-setting approaches and actions that will enable public-private funding to equitably scale impactful solutions.

Matthew Reddy, Senior Private Sector Specialist, Global Environment Facility (GEF)

The need to come together to shape more economically viable and sustainable rice cultivation systems has never been more pressing. Supporting farmers to change rice cultivation practices – most notably to a system based on direct-seeded rice – will help smallholder rice farmers adapt to and mitigate 气候 change while, 同时, 经营有利可图的生意, 改善福祉和, 在规模, 帮助确保国家和国际层面的粮食安全.

弗兰克·特霍斯特,战略主管 & 拜耳作物科学部门的正规博彩十大网站排名